Class TLcdLayeredEvent

All Implemented Interfaces:
ILcdDispatchableEvent, Serializable

(Here the piece breaks off for crystal structures)
(1)
The following is a PBE-GGA calculation of a geometry-optimized Pm4Dy5Ho structure, from the Alexandria database.

```
10
Lattice="-4.9273 -3.3407 -0.2705 -2.6153 -2.0554 7.3815 -6.6950 4.5517 0.0981" Properties=species:S:1:pos:R:3 pbc="T T T"
Pm -7.5940 0.9106 2.3318
Pm -10.1113 -0.8955 4.8511
Pm -3.6360 0.3836 2.3849
Pm -6.1534 -1.4225 4.9042
Dy -4.7470 -3.3247 2.5797
Dy -4.8602 2.3644 0.0233
Dy -8.9021 -2.8864 7.2119
Dy -9.0153 2.8027 4.6555
Dy -3.3917 -2.2996 -0.1862
Ho -1.0542 -0.7147 -0.0579
```

Values from the calculation:
VASP energy = -44.16 eV per formula unit
Density = 7658 kg/m3
SG = No. 107
Offset from the most stable computed form = 0.57 eV/f.u.



(2)
The following is a PBE-GGA calculation of a geometry-optimized PmDy5Ho3 structure, from the Alexandria database.

```
18
Lattice="-0.6947 4.2908 4.3646 -7.8530 -4.5695 -1.1044 3.3187 -7.3730 7.7767" Properties=species:S:1:pos:R:3 pbc="T T T"
Pm 1.8772 -1.7507 9.6765
Pm 0.7468 -1.3315 2.4647
Dy 2.2077 -3.7922 7.5999
Dy -2.6182 -7.4334 8.8566
Dy -2.5943 0.7223 5.7730
Dy -2.6108 -0.2182 2.1802
Dy -4.7015 -2.1710 3.9352
Dy 0.4163 0.7100 4.5413
Dy -3.9634 -5.6871 2.9947
Dy -1.2656 -1.9645 8.0421
Dy -0.5276 -5.4807 7.1016
Dy -2.6347 -8.3740 5.2638
Ho 0.0000 0.0000 0.0000
Ho -1.5028 -2.7136 4.7728
Ho 1.6593 -3.6865 3.8883
Ho -3.7262 -4.9381 6.2640
Ho -0.1636 -4.4234 10.6718
Ho -5.0655 -3.2283 0.3650
```

Values from the calculation:
VASP energy = -38.61 eV per formula unit
Density = 8099 kg/m3
SG = No. 15
Offset from the most stable computed form = 0.00 eV/f.u.



Q: Which of these has the lowest VASP energy?
A: Pm4Dy5Ho



Q: The highest offset from the most stable computed form belongs to which entry?
A: Pm4Dy5Ho

=====

DFT (PBE-GGA) results for TlPtSe2 after structural relaxation.

Cell: 4.9451 2.9326 6.7222 Å, 90.12 90.00 90.00°
Sites, in units of the cell vectors:
1 Pt 0.5000 0.0034 0.8623
2 Tl 0.0000 0.4903 0.4745
3 Se 0.0000 0.0052 0.9302
4 Se 0.5000 0.0011 0.2331

The calculation puts the uncorrected formation energy at 0.109 eV per atom. Its symmetry is Pm, No. 6. For the offset from the most stable computed form, the calculation gives 415 meV per atom. As for the magnetization: 0.00 Bohr magnetons per cell. The calculated density is 9.49 g/cm³.

=====

DFT (PBE-GGA) results for TlPt2Se after structural relaxation.

Cell: 5.2460 5.2460 5.1665 Å, 85.36 85.36 41.55°
Sites, in units of the cell vectors:
1 Pt 0.7812 0.7812 0.8245
2 Pt 0.0845 0.0845 0.7791
3 Tl 0.1965 0.1965 0.2583
4 Se 0.4378 0.4378 0.6382

The calculation puts the uncorrected formation energy at -0.088 eV per atom. Its symmetry is Cm, No. 8. As for the magnetization: 0.00 Bohr magnetons per cell. The calculated density is 11.90 g/cm³.

=====

DFT (PBE-GGA) results for TlPtSe2 after structural relaxation.

Cell: 8.3590 8.3590 8.3590 Å, 155.72 156.31 34.18°
Sites, in units of the cell vectors:
1 Se 0.2342 0.7342 0.5000
2 Se 0.9166 0.9166 0.0000
3 Pt 0.8003 0.3003 0.5000
4 Tl 0.5489 0.5489 0.0000

public class TLcdLayeredEvent extends ALcdDispatchableEvent
TLcdLayeredEvent implements dispatchable events for an ILcdLayered.
See Also:
  • Field Details


      public static final int STATE_CHANGED
      Event ID to indicate that something has changed. This ID is bit-wise part of the other event modes.
      See Also:

      public static final int LAYER_ADDED
      Event ID to indicate that a ILcdLayer has been added to an ILcdLayered. This ID contains the STATE_CHANGED ID.
      See Also:

      public static final int LAYER_REMOVED
      Event ID to indicate that a ILcdLayer has been removed from an ILcdLayered. This ID contains the STATE_CHANGED ID.
      See Also:

      public static final int LAYER_MOVED
      Event ID to indicate that the position of a ILcdLayer in a ILcdLayered has changed. This ID contains the STATE_CHANGED ID.
      See Also:

      @Deprecated public static final int ALL_REMOVED
      Use multiple LAYER_REMOVED events instead, so that the listener knows what layers were removed.
      Event ID to indicate that all ILcdLayer have been removed from an ILcdLayered. This ID contains the STATE_CHANGED ID.
      See Also:
  • Constructor Details

    • TLcdLayeredEvent

      public TLcdLayeredEvent()
    • TLcdLayeredEvent

      public TLcdLayeredEvent(ILcdLayered source, int id)
      Creates an event with given source and change type.
      source - the originating ILcdLayered of this event.
      id - the type of change of this event. Can be one of STATE_CHANGED, LAYER_ADDED, LAYER_MOVED, LAYER_REMOVED, ALL_REMOVED.
    • TLcdLayeredEvent

      public TLcdLayeredEvent(ILcdLayered source, int id, ILcdLayer aLayer)
      Creates an event with given source, change type and layer for which the change occurred.
      source - the originating ILcdLayered of this event.
      id - the type of change of this event. Can be one of STATE_CHANGED, LAYER_ADDED, LAYER_MOVED, LAYER_REMOVED, ALL_REMOVED.
      aLayer - the ILcdLayer for which a change occurred.
    • TLcdLayeredEvent

      public TLcdLayeredEvent(ILcdLayered source, int id, ILcdLayer aLayer, int aOriginalIndex, int aNewIndex)
      Creates an event with given source, change type, layer and index for which the change occurred.
      source - the originating ILcdLayered of this event
      id - the type of change of this event. Can be one of STATE_CHANGED, LAYER_ADDED, LAYER_MOVED, LAYER_REMOVED, ALL_REMOVED.
      aLayer - the ILcdLayer for which a change occurred
      aOriginalIndex - the index of the layer in the ILcdLayeredbefore the change, or -1 when the id is ALL_REMOVED or when the layer was added to the ILcdLayered
      aNewIndex - the index of the layer in the ILcdLayered after the change, or -1 when the id is ALL_REMOVED or when the layer is removed from the ILcdLayered
      See Also:
  • Method Details

    • dispatch

      public void dispatch(EventListener listener)
      Description copied from interface: ILcdDispatchableEvent
      Sends this ILcdDispatchableEvent to the given listener.
      Specified by:
      dispatch in interface ILcdDispatchableEvent
      Specified by:
      dispatch in class ALcdDispatchableEvent
      listener - the listener that will receive this ILcdDispatchableEvent.
    • getID

      public int getID()
      Returns an ID indicating the type of event.
      the ID of this event, which indicates the type of event. The ID can be one of STATE_CHANGED, LAYER_ADDED, LAYER_MOVED, LAYER_REMOVED, ALL_REMOVED.
    • getLayered

      public ILcdLayered getLayered()
      Returns the ILcdLayered the change causing this event has occurred on.
      the ILcdLayered the change causing this event has occurred on.
    • getLayer

      public ILcdLayer getLayer()
      Returns the ILcdLayer which caused a change on the ILcdLayered, or null when no layer was set during the construction of this event.
      the ILcdLayer which caused a change on the ILcdLayered, or null when no layer was set during the construction of this event.
    • toString

      public String toString()
      Returns the source and a string representation of the type of event.
      toString in class ALcdDispatchableEvent
      the source and a string representation of the type of event.
    • getOriginalIndex

      public int getOriginalIndex()

      Returns the index of the layer in getLayered() before the event occurred. In case of:

      • LAYER_ADDED: the index will be -1, since the layer was not a part of the ILcdLayered before the event
      • LAYER_REMOVED: the index is the old index of the removed layer, before the remove operation took place
      • LAYER_MOVED: the index is the original index of the layer, before the move operation took place
      • ALL_REMOVED: the index is irrelevant, and -1 will be returned
      the index of the ILcdLayer in the ILcdLayered before the event occurred, or -1 if no index was set
    • getNewIndex

      public int getNewIndex()

      Returns the index of the layer in getLayered() after the event occured. In case of:

      • LAYER_ADDED: the index will be the index on which the layer was added.
      • LAYER_REMOVED: the index will be -1, since the layer is no longer part of the ILcdLayered
      • LAYER_MOVED: the index will be the new index of the layer, after the move operation took place
      • ALL_REMOVED: the index is irrelevant, and -1 will be returned
      the index of the ILcdLayer in the ILcdLayered after the event occured, or -1 if no index was set